Contributions and issues are most welcome! All issues and pull requests are handled through GitHub. Also, please check for any existing issues before filing a new one. If you have a great idea but it involves big changes, please file a ticket before making a pull request! We want to make sure you don’t spend your time coding something that might not fit the scope of the project.
Running the tests
To run in a container
Use vscode devcontainer as follows:
$ git clone git://
$ vscode python3-pip-skeleton
Click on 'Reopen in Container' when prompted
In a vscode Terminal:
$ tox -p
To run locally
Get the source source code and run the unit tests directly on your workstation as follows:
$ git clone git://
$ cd python3-pip-skeleton
$ virtualenv .venv
$ source .venv/bin/activate
$ pip install -e .[dev]
$ tox -p
In both cases tox -p runs in parallel the following checks:
Build Sphinx Documentation
run pytest on all tests in ./tests
run mypy linting on all files in ./src ./tests
run pre-commit checks:
run flake8 style checks against all source
run black formatting checks against all source
While 100% code coverage does not make a library bug-free, it significantly reduces the number of easily caught bugs! Please make sure coverage remains the same or is improved by a pull request!
Code Styling
The code in this repository conforms to standards set by the following tools:
black for code formatting
flake8 for style checks
isort for import ordering
mypy for static type checking
flake8 and black and isort are run by pre-commit. You can run the above checks on all files with this command:
$ tox -e pre-commit,mypy
Or you can install a pre-commit hook that will run each time you do a git
on just the files that have changed. Note that mypy is not in
the pre-commit because it is a little slow
$ pre-commit install
Docstrings are pre-processed using the Sphinx Napoleon extension. As such, google-style is considered as standard for this repository. Please use type hints in the function signature for types. For example:
def func(arg1: str, arg2: int) -> bool:
"""Summary line.
Extended description of function.
arg1: Description of arg1
arg2: Description of arg2
Description of return value
return True
Documentation is contained in the docs
Here the page breaks off for records of crystals.
=====
First-principles (PBE) data for an optimized crystal structure of Na3SiSn4P5O24, as listed in the Materials Project.

Computed properties:
Its total moment is 0.0 μB/f.u.

a = 8.786 Å, b = 8.803 Å, c = 22.866 Å
α = 90.11°, β = 90.13°, γ = 119.91°
Fractional coordinates of all 111 atoms:
Na 0.000 0.000 0.000
Na 0.003 0.007 0.500
Na 0.328 0.664 0.666
Na 0.334 0.668 0.166
Na 0.363 0.004 0.249
Na 0.641 0.009 0.751
Na 0.666 0.344 0.833
Na 0.679 0.351 0.333
Na 0.969 0.306 0.915
Si 0.000 0.714 0.250
Si 0.007 0.302 0.749
Si 0.626 0.963 0.916
Sn 0.000 0.004 0.852
Sn 0.001 0.004 0.353
Sn 0.003 0.004 0.147
Sn 0.006 0.011 0.646
Sn 0.333 0.669 0.315
Sn 0.333 0.671 0.814
Sn 0.336 0.673 0.519
Sn 0.341 0.678 0.019
Sn 0.665 0.337 0.981
Sn 0.670 0.341 0.481
Sn 0.673 0.345 0.684
Sn 0.677 0.348 0.185
P 0.044 0.381 0.417
P 0.046 0.677 0.917
P 0.292 0.007 0.749
P 0.292 0.299 0.249
P 0.337 0.966 0.417
P 0.339 0.384 0.917
P 0.377 0.049 0.084
P 0.379 0.340 0.582
P 0.628 0.674 0.417
P 0.669 0.048 0.583
P 0.669 0.632 0.083
P 0.713 0.007 0.250
P 0.713 0.714 0.749
P 0.962 0.634 0.583
P 0.964 0.341 0.082
O 0.027 0.198 0.410
O 0.030 0.842 0.910
O 0.039 0.216 0.692
O 0.051 0.841 0.193
O 0.119 0.632 0.863
O 0.122 0.493 0.362
O 0.146 0.651 0.577
O 0.147 0.507 0.077
O 0.156 0.706 0.973
O 0.158 0.460 0.472
O 0.172 0.201 0.911
O 0.173 0.987 0.411
O 0.179 0.496 0.755
O 0.180 0.222 0.194
O 0.180 0.970 0.694
O 0.183 0.704 0.256
O 0.195 0.034 0.088
O 0.196 0.174 0.587
O 0.215 0.040 0.805
O 0.216 0.183 0.304
O 0.294 0.458 0.971
O 0.304 0.851 0.471
O 0.316 0.483 0.256
O 0.320 0.847 0.755
O 0.359 0.866 0.079
O 0.361 0.506 0.577
O 0.371 0.494 0.861
O 0.371 0.891 0.360
O 0.458 0.163 0.029
O 0.459 0.308 0.527
O 0.473 0.306 0.243
O 0.478 0.171 0.743
O 0.488 0.127 0.141
O 0.492 0.375 0.638
O 0.501 0.647 0.078
O 0.503 0.865 0.577
O 0.504 0.150 0.423
O 0.505 0.368 0.923
O 0.514 0.888 0.855
O 0.515 0.640 0.361
O 0.528 0.844 0.256
O 0.533 0.705 0.755
O 0.545 0.845 0.974
O 0.547 0.707 0.472
O 0.635 0.124 0.639
O 0.635 0.519 0.138
O 0.646 0.508 0.422
O 0.656 0.163 0.922
O 0.683 0.166 0.243
O 0.690 0.530 0.743
O 0.703 0.163 0.528
O 0.704 0.552 0.027
O 0.791 0.831 0.695
O 0.791 0.975 0.194
O 0.810 0.841 0.412
O 0.824 0.310 0.744
O 0.825 0.790 0.804
O 0.826 0.046 0.305
O 0.826 0.992 0.912
O 0.828 0.520 0.245
O 0.834 0.028 0.588
O 0.834 0.816 0.088
O 0.849 0.554 0.527
O 0.855 0.308 0.026
O 0.860 0.363 0.423
O 0.863 0.508 0.923
O 0.884 0.374 0.137
O 0.885 0.521 0.638
O 0.961 0.182 0.809
O 0.967 0.798 0.308
O 0.980 0.817 0.589
O 0.981 0.174 0.089

---

First-principles (PBE) data for an optimized crystal structure of Dy2S2O, as listed in the Materials Project.

Computed properties:
The energy relative to the lowest polymorph listed for this composition is 0.5 kJ/mol of atoms.

a = 15.635 Å, b = 3.813 Å, c = 6.748 Å
α = 90.00°, β = 90.00°, γ = 90.00°
Fractional coordinates of all 20 atoms:
Dy 0.041 0.250 0.206
Dy 0.165 0.250 0.756
Dy 0.335 0.750 0.256
Dy 0.459 0.750 0.706
Dy 0.541 0.250 0.294
=====
The page goes on.
directory and extracted from
docstrings of the API.
Docs follow the underlining convention:
Headling 1 (page title)
Heading 2
Heading 3
You can build the docs from the project directory by running:
$ tox -e docs
$ firefox build/html/index.html
Release Process
To make a new release, please follow this checklist:
Choose a new PEP440 compliant release number (see
Go to the GitHub release page
Draft New Release
Choose Tag
and supply the new tag you chose (click create new tag)Click
Generate release notes
, review and edit these notesChoose a title and click
Publish Release
Note that tagging and pushing to the main branch has the same effect except that you will not get the option to edit the release notes.
Checking Dependencies
To see a graph of the python package dependency tree type:
Updating the tools
This module is merged with the python3-pip-skeleton. This is a generic Python project structure which provides a means to keep tools and techniques in sync between multiple Python projects. To update to the latest version of the skeleton, run:
_The piece is interrupted by crystal structures_
┌──
Nb3Tl2Cl9 | PBE | relaxed

Summary:
The calculation puts the density at 4.3 g cm⁻³. As for the calculated total energy: -137.42 eV/cell. Its formation energy is -22.6 eV/f.u.

Lattice parameters (Å, degrees): 9.9201 9.9201 9.7921 76.72 76.72 116.09
Last column: nearest neighbours and their distance in Å.
Atoms (fractional coordinates):
Cl 0.1858 0.1858 0.3319  2 Nb 2.49
Cl 0.8954 0.6877 0.9860  2 Nb 2.49
Cl 0.1046 0.3123 0.0140  2 Nb 2.49
Cl 0.7068 0.2932 0.0000  2 Nb 2.49
Cl 0.2932 0.7068 0.0000  2 Nb 2.49
Cl 0.4173 0.6248 0.6844  2 Nb 2.48
Cl 0.7601 0.7601 0.2885  1 Nb 2.61
Cl 0.6053 0.0015 0.6786  1 Nb 2.66
Cl 0.3752 0.5827 0.3156  2 Nb 2.48
Cl 0.8142 0.8142 0.6681  2 Nb 2.49
Cl 0.9985 0.3947 0.3214  1 Nb 2.66
Cl 0.2399 0.2399 0.7115  1 Nb 2.61
Cl 0.6248 0.4173 0.6844  2 Nb 2.48
Cl 0.5827 0.3752 0.3156  2 Nb 2.48
Cl 0.3123 0.1046 0.0140  2 Nb 2.49
Cl 0.0015 0.6053 0.6786  1 Nb 2.66
Cl 0.6877 0.8954 0.9860  2 Nb 2.49
Cl 0.3947 0.9985 0.3214  1 Nb 2.66
Nb 0.4546 0.2798 0.1405  5 Cl 2.48-2.66
Nb 0.5454 0.7202 0.8595  5 Cl 2.48-2.66
Nb 0.7202 0.5454 0.8595  5 Cl 2.48-2.66
Nb 0.3847 0.3847 0.8710  5 Cl 2.48-2.61
Nb 0.2798 0.4546 0.1405  5 Cl 2.48-2.66
Nb 0.6153 0.6153 0.1290  5 Cl 2.48-2.61
Tl 0.7290 0.0497 0.3290  4 Cl 3.12-3.26
Tl 0.9503 0.2710 0.6710  4 Cl 3.12-3.26
Tl 0.2710 0.9503 0.6710  4 Cl 3.12-3.26
Tl 0.0497 0.7290 0.3290  4 Cl 3.12-3.26

----------

Entry 1:
A plane-wave DFT calculation with GGA-PBE was carried out for a geometry-optimized Cr2CoSe4 structure.

Results
- Total energy: -6.19 eV/atom
- Crystal system: monoclinic
- Energy relative to the elements: -0.687 eV per atom
- V: 18.34 Å³/atom
- E above lowest polymorph: 0 meV/atom

The structure in POSCAR format:
```
Cr2CoSe4
1.0
6.302 -1.828 0.000
6.302 1.828 0.000
-3.073 0.000 5.572
Cr Co Se
2 1 4
Cartesian
2.348 0.000 1.218
7.183 0.000 4.355
4.765 0.000 2.786
0.167 0.000 2.632
4.678 0.000 0.317
4.853 0.000 5.255
9.363 0.000 2.941
```


Entry 2:
A plane-wave DFT calculation with GGA-PBE was carried out for a geometry-optimized Ho2IrPd structure.

Results
- Total energy: -6.73 eV/atom
- Crystal system: cubic
- Energy relative to the elements: -0.938 eV per atom
- V: 20.59 Å³/atom

The structure in POSCAR format:
```
Ho2IrPd
1.0
0.000 3.453 3.453
3.453 0.000 3.453
3.453 3.453 0.000
Ho Ir Pd
2 1 1
Cartesian
1.727 1.727 1.727
5.180 5.180 5.180
0.000 0.000 0.000
3.453 3.453 3.453
```


Entry 3:
A plane-wave DFT calculation with GGA-PBE was carried out for a geometry-optimized FeMo6Se8 structure.

Results
- Total energy: -7.23 eV/atom
- Crystal system: triclinic
- Energy relative to the elements: -0.719 eV per atom
- V: 21.43 Å³/atom
- E above lowest polymorph: 0 meV/atom

The structure in POSCAR format:
```
FeMo6Se8
1.0
6.843 0.000 0.000
-0.464 6.850 0.000
-0.058 -0.423 6.857
Fe Mo Se
1 6 8
Cartesian
0.000 0.000 0.000
0.189 2.321 3.179
0.252 3.705 5.604
1.465 4.668 3.381
4.784 3.487 4.056
6.014 4.486 1.917
6.055 5.865 4.317
0.982 -0.082 2.230
1.419 3.366 1.151
1.529 5.961 5.654
└──
$ git pull main
Any merge conflicts will indicate an area where something has changed that conflicts with the setup of the current module. Check the closed pull requests of the skeleton module for more details.